
If you can't download it for free, you listen to it for free on Spotify, Grooveshark, the Artist's website, etc. In that case you still aren't buying it. Now of course through Spotify the artist gets a cut (or at least the publisher/recording company does).

I believe Ice Cubes gum has the most xylitol per piece (at last of the gums you can find locally). Unfortunately, in order to get a therapeutic dose of xylitol you have to chew about 7 pieces a day (7 grams), and that much xylitol gives most people GI upset - aka The Runs. But, like they say, out with the bad, in with

It's a good plan, but it doesn't work for everything. My loans for dental school are about $50k a year. After 4 years of school, I'm looking at a minimum of 200k (not including any undergrad). I can guarantee I won't make 200k my first year out. And I'm at a state school, which is significantly cheaper than a private

Come on, Apple makes plenty off the iPad hardware. Did we forget about this?

My 1 1/2 year old plays with my iPad all the time. Its amazing how a kid less than two years old can turn it on, unlock it, find his folder of games, and play. I've tried to teach him to use the computer, but he doesn't get the whole mouse input thing. He just tries to climb on the desk and touch the computer.

Agreed. Especially the higher capacity devices. $200 upgrade from 16GB to 64GB? Last time I checked that upgrade should be about $20.

Not to mention the ecosystem lock-in. If I have an iPhone, I want an iPad because it syncs up so well and all my apps still work. If I have an iPod Touch or any Mac, its the same deal. Personally I would love a big beautiful 4.5" screen phone, but they all run Android and I just can't bring myself to do it when

I disagree. Well, not entirely. Torrents are much better if I am downloading something fairly large, but for a single album I find it quicker to just google "*name of album* megaupload" and grab a direct link. But yeah, there is no way I am dealing with multiple .rar files for a single item or any of that crap.

the only deal I was interested in was $199 XBOX 360 w Kinect at Wallmart. I wasn't about to go to WalMart, so I checked Bestbuy at about 10am. Pretty mild, but the same package was $299. Luckily Amazon had the $199 deal, tax free with Prime shipping. Can't beat Amazon.

Apple needs to fix a few other app store annoyances before they tackle this. Like 1) infinite scrolling on the iPad. Wy do I have to browse apps 25 at a time? It is annoying as hell. And 2) queue-ing of apps. I will even settle for just not closing the AppStore every time I hit Install. I will close the AppStore when

While this may break everything, the problem is with the hack, not the power of the iPad 1. The gestures were working beautifully during the iOS5 betas. They just took away the option on the official release.

<<<
## Be2CoO4 (GGA+U)

Data for a relaxed Be2CoO4 crystal.

Results
Size of the total moment in μB per formula unit: 3.03
Space-group type: I4/mmm (139)
Calculated total energy in eV/atom: -5.59

abc: 3.794 3.794 5.128
angles: 68.29 68.29 90.00
Site moments in Bohr magnetons follow the coordinates.
Fractional coordinates of all 7 atoms:
Be 0.370 0.370 0.260  0.01
Be 0.630 0.630 0.740  0.01
Co 0.000 0.000 0.000  2.29
O 0.204 0.204 0.592  0.28
O 0.796 0.796 0.408  0.28
O 0.000 0.500 0.000  0.01
O 0.500 0.000 0.000  0.01



## PaBeCo2O6 (GGA+U)

Data for a relaxed PaBeCo2O6 crystal.

Results
Size of the total moment in μB per formula unit: 6.96
Space-group type: P4mm (99)
Calculated total energy in eV/atom: -6.99

abc: 4.566 5.417 5.417
angles: 90.00 90.00 90.00
Site moments in Bohr magnetons follow the coordinates.
Fractional coordinates of all 10 atoms:
Pa 0.606 0.500 0.500  0.00
Be 0.633 0.000 0.000  -0.01
Co 0.911 0.500 0.000  2.70
Co 0.911 0.000 0.500  2.70
O 0.738 0.229 0.229  0.13
O 0.738 0.229 0.771  0.13
O 0.150 0.500 0.500  0.03
O 0.283 0.000 0.000  0.69
O 0.738 0.771 0.771  0.13
O 0.738 0.771 0.229  0.13



## PaBeCoO5 (GGA+U)

Data for a relaxed PaBeCoO5 crystal.

Results
Size of the total moment in μB per formula unit: 2.01
Space-group type: C2/c (15)
Calculated total energy in eV/atom: -7.70

abc: 5.224 5.224 8.194
angles: 103.19 103.19 108.67
Site moments in Bohr magnetons follow the coordinates.
Fractional coordinates of all 16 atoms:
Pa 0.000 0.000 0.500  0.03
Pa 0.000 0.000 0.000  0.03
Be 0.682 0.318 0.250  0.00
Be 0.318 0.682 0.750  0.00
Co 0.342 0.658 0.250  2.00
Co 0.658 0.342 0.750  2.00
O 0.126 0.874 0.250  -0.04
O 0.874 0.126 0.750  -0.04
O 0.987 0.354 0.200  -0.03
O 0.013 0.646 0.800  -0.03
O 0.646 0.013 0.300  -0.03
O 0.354 0.987 0.700  -0.03
O 0.700 0.582 0.408  0.03
O 0.300 0.418 0.592  0.03
O 0.418 0.300 0.092  0.03
O 0.582 0.700 0.908  0.03



## PaBe2Co2O7 (GGA+U)

Data for a relaxed PaBe2Co2O7 crystal.

Results
Size of the total moment in μB per formula unit: 7.00
Space-group type: R32 (155)
Calculated total energy in eV/atom: -7.13

abc: 5.025 5.025 7.775
angles: 71.15 71.15 60.00
Site moments in Bohr magnetons follow the coordinates.
Fractional coordinates of all 12 atoms:
Pa 0.000 0.000 0.000  0.07
Be 0.569 0.569 0.292  0.01
Be 0.431 0.431 0.708  0.01
Co 0.756 0.756 0.732  2.79
Co 0.244 0.244 0.268  2.79
O 0.288 0.906 0.195  0.17
O 0.906 0.610 0.195  0.17
O 0.610 0.288 0.195  0.17
O 0.500 0.500 0.500  0.06
O 0.712 0.390 0.805  0.17
O 0.390 0.094 0.805  0.17
O 0.094 0.712 0.805  0.17



## Pm2Be2CoO6 (GGA+U)

Data for a relaxed Pm2Be2CoO6 crystal.

Results
Size of the total moment in μB per formula unit: 3.00
Space-group type: R-3m (166)
Calculated total energy in eV/atom: -7.14

abc: 5.256 5.256 6.065
angles: 64.32 64.32 60.00
Site moments in Bohr magnetons follow the coordinates.
Fractional coordinates of all 11 atoms:
Pm 0.787 0.787 0.640  -0.01
Pm 0.213 0.213 0.360  -0.01
Be 0.423 0.423 0.730  0.01
>>>

This is more similar to big name films using GoPro cameras for more angles and in shot where they don't want their expensive equipment damaged. But really an iPhone doesn't fit into that same category.

happens all the time on iOS Safari as well. Sometimes reloading the page helps, but a lot of the time the videos just don't load.

(Unrelated to this piece: calculated crystals)
+++
CdCuW2 (GGA-PBE, relaxed); E_form = 0.30 eV per atom; uncorrected energy = -7.4311 eV per atom; V = 65 Å³/cell
1.0
1.623 -2.209 0.000
1.623 2.209 0.000
0.000 0.000 9.050
Cd Cu W
1 1 2
direct
0.000 0.000 0.000 Cd
0.500 0.500 0.752 Cu
0.000 0.000 0.524 W
0.500 0.500 0.278 W

* * * * *

SiWN2F | GGA+U | optimized geometry

abc: 4.0474 4.0474 4.0833
angles: 90.00 90.00 90.00
Element x y z (fractional)
Si 0.0000 0.0000 0.0000
W 0.5000 0.5000 0.5000
+++

My dad passed away this year, and it was lucky that I knew most of his passwords. He was a software developer/consultant, so he had numerous computers that I had to search for any personal files before handing them over to the guy who bought the business. I also had to log in to a lot of his online services (logmein,

I WISH Apple would make the iPhone at least 4", but that will (most likely) never happen. And I'm sure it has nothing to do with reaching across the screen with your thumb. Maybe that was a factor when the iPhone was first developed, but it certainly isn't reason enough to stick to 3.5" forever.

Agreed. The guest account will erase complete at each logout and they won't be able to access your files. Really, most people ripping off laptops are just like the guy in this story. Just some idiot kid who wants a new laptop or wants to sell it off for a quick buck.

You can set a firmware password, which makes it impossible to boot from a disc (without the password). I would be willing to bet that the type of guy that rips off your laptop isn't educated enough to boot it in Open Firmware and use terminal commands to reinstall the OS. Chances are if they did try a reinstall they

It will probably be used as a film set as well (or once they give up on the research thing and need to make some money back). A lot of movies are filmed in New Mexico due to the tax write-offs and what not.

# Inserted here: data records
........
Record 1
Density functional theory data (meta-GGA SCAN) for CrCoOs at its PBEsol-relaxed geometry.

Summary:
* total moment: 0.5 μB/f.u.
* space-group type: P-6m2 (187)
* crystal system: hexagonal
* energy of formation: 143 meV/atom
* raw total energy: -107.14 eV/cell

a b c (Å): 3.9931 3.9931 2.5554
angles (deg): 90.00 90.00 120.00
Closest atoms and distances in Å follow each position.
Element x y z (fractional)
Cr  0.0000  0.0000  0.0000  3 Co 2.31, 2 Cr 2.56
Co  0.6667  0.3333  0.0000  3 Cr 2.31, 2 Co 2.56
Os  0.3333  0.6667  0.5000  2 Os 2.56, 6 Cr 2.64, 6 Co 2.64

Record 2
Density functional theory data (meta-GGA SCAN) for Cr2CoOs at its PBEsol-relaxed geometry.

Summary:
* total moment: 0.8 μB/f.u.
* space-group type: P4/mmm (123)
* crystal system: tetragonal
* energy of formation: 105 meV/atom
* raw total energy: -125.53 eV/cell

a b c (Å): 3.5986 3.5986 3.5861
angles (deg): 90.00 90.00 90.00
Closest atoms and distances in Å follow each position.
Element x y z (fractional)
Cr  0.0000  0.5000  0.0000  4 Co 2.54, 4 Os 2.54, 4 Cr 2.54
Cr  0.5000  0.0000  0.0000  4 Co 2.54, 4 Os 2.54, 4 Cr 2.54
Co  0.0000  0.0000  0.5000  8 Cr 2.54, 4 Os 2.54
Os  0.5000  0.5000  0.5000  8 Cr 2.54, 4 Co 2.54

~~~~~

(1)
A plane-wave DFT calculation with GGA-PBE was carried out for a geometry-optimized LaZr3Pd structure. Values from VASP.

Geometry as Quantum ESPRESSO input:
```
&SYSTEM
  ibrav = 0, nat = 5, ntyp = 3
/
ATOMIC_SPECIES
La 138.91 La.upf
Zr 91.22 Zr.upf
Pd 106.42 Pd.upf
CELL_PARAMETERS angstrom
5.086 0.000 0.000
0.000 5.086 0.000
0.000 0.000 5.086
ATOMIC_POSITIONS crystal
La 0.000 0.000 0.000
Zr 0.000 0.000 0.500
Zr 0.000 0.500 0.000
Zr 0.500 0.000 0.000
Pd 0.500 0.500 0.500
```

Energy relative to the elements ... 1306 meV/atom
E_tot ... -5.847 eV per atom
E above lowest polymorph ... 1090 meV per atom

***

(2)
A plane-wave DFT calculation with GGA-PBE was carried out for a geometry-optimized LaZrPd6 structure. Values from VASP.

Geometry as Quantum ESPRESSO input:
```
&SYSTEM
  ibrav = 0, nat = 8, ntyp = 3
/
ATOMIC_SPECIES
La 138.91 La.upf
Zr 91.22 Zr.upf
Pd 106.42 Pd.upf
CELL_PARAMETERS angstrom
4.129 0.000 0.000
0.000 4.129 0.000
0.000 0.000 8.270
ATOMIC_POSITIONS crystal
La 0.000 0.000 0.000
Zr 0.000 0.000 0.500
Pd 0.000 0.500 0.265
Pd 0.000 0.500 0.735
Pd 0.500 0.000 0.265
Pd 0.500 0.000 0.735
Pd 0.500 0.500 0.000
Pd 0.500 0.500 0.500
```

Energy relative to the elements ... -814 meV/atom
E_tot ... -6.393 eV per atom

***

(3)
A plane-wave DFT calculation with GGA-PBE was carried out for a geometry-optimized LaZrPd2 structure. Values from VASP.

Geometry as Quantum ESPRESSO input:
```
&SYSTEM
  ibrav = 0, nat = 4, ntyp = 3
/
ATOMIC_SPECIES
La 138.91 La.upf
Zr 91.22 Zr.upf
Pd 106.42 Pd.upf
CELL_PARAMETERS angstrom
2.331 1.346 4.980
-2.331 1.346 4.980
0.000 -2.691 4.980
ATOMIC_POSITIONS crystal
La 0.000 0.000 0.000
Zr 0.500 0.500 0.500
Pd 0.212 0.212 0.212
Pd 0.788 0.788 0.788
```

Energy relative to the elements ... -621 meV/atom
........

jokes on you, we all have iPads already.